


The air held its breath, a suspended minute of anticipation that seemed to hang over the grove like a heavy cloud. Every pair of eyes, belonging to the finest of apothecaries, were fixed on the grand maestro, who was deeply engrossed in studying the potion prepared by the human participant.

The unbearable silence was ripped apart by a single, disbelieving voice.

"He must be cheating!!" It was Maksin, unable to comprehend the sight before him. His accusation hung in the air like a rogue spark, threatening to ignite the atmosphere.

Before Emery could even formulate a defense, the grand maestro himself answered. His voice, filled with admiration, echoed through the vast space, "This is one of the finest potions I've laid my eyes on in years. It's truly...remarkable."

His words hit Maksin like a gust of cold wind, freezing him in his place. What followed next was him forcefully escorted off the stage, his face mirroring the shock and disbelief. With countless experts observing, such a disgraceful incident was bound to leave a permanent stain on his career.

The grand maestro, having silenced the instigator, turned his attention back to Emery. His gaze, full of respect and curiosity, met Emery's. He inquired, "Your name?"

"I am Merlin," Emery replied.

A smile of genuine delight stretched across the old wood elf's face. He raised an arm towards Emery, directing the attention of the audience to him, and proudly announced, "We have with us here, an extraordinary talent."

Suddenly, a song echoed in the grove. It started with a single elf, her voice weaving an ancient melody that soon spread among the crowd. It was a ballad of honor, a chant that immortalized Merlin in the legends of the Vanyar people. The song painted him as a celebrated hero, a gifted apothecary whose name would be remembered for generations.

Liandrin and Callon, the two other competitors, joined the celebration, offering their congratulations. They patted Merlin on the shoulder, their faces filled with recognition. There was no room left for doubt – Merlin was indeed an exceptional apothecary.

With the Junior Master Forum finally coming to a close, the event host began to usher spectators towards the next arena. Here, the Senior Masters and Grandmasters would showcase their concoctions, an event that was eagerly anticipated by all in attendance.

Emery found himself intrigued by the prospect of witnessing these masterful displays. However, he was not in the best of conditions. It seemed the after-effects of the toxin he had ingested were kicking in, causing his body to weaken and inducing a throbbing headache.

His companions Morgana, Twik, Helena, and Elder Aegnor, who had initially been eager to congratulate him, now turned their attention to his apparent discomfort. Grand Master Hazard, who had been observing the situation closely, moved to prepare a restorative potion for Emery, but the Maestro intervened.

The ancient wood elf swiftly handed Emery a small pill, demonstrating an uncanny understanding of his condition. "This will purge all toxins from your body, but it might take a few days," he explained.

"Thank you, Maestro," Emery responded gratefully, his words slightly strained from the discomfort.

Yet, it seemed the Maestro still had something to impart to Emery. "I'm planning to stay on this planet for a few months," he revealed, his gaze steady on Emery. "I wonder, would you be interested in collaborating on a project with me?"

This proposition stunned everyone present, even Grandmaster Hazard's typically composed expression faltered. Working alongside such an illustrious figure was an honor beyond belief. Not only would Emery be privy to the Maestro's expert teachings, but he would also earn credit for any products developed during the collaboration.

However, Emery knew that his stay on the Vanyar planet had run its course. Not only did he need to return to his plant creatures to quickly start his own project, but his presence in Canta had also been widely known, making the place no longer safe for him. This amazing opportunity was one he would, unfortunately, have to pass up.

"Apologies, Maestro, but I have plans to depart from this planet shortly," Emery responded, his words echoing regret.

This unexpected response stirred a wave of shock among those present, most visibly impacting young Helena, the wood elf maiden. A look of profound disappointment crossed her features, her grip tightening around the edges of her dress. Her emerald eyes shimmered with unshed tears, her gaze flickering between Emery and the Grand Maestro, seemingly searching for a change in their decision. Yet, finding none, she excused herself abruptly and rushed away from the group.

The Grand Maestro maintained his composed demeanor, a gentle smile gracing his aged features. "Perhaps another time, then," he conceded, his eyes reflecting a hint of anticipation. "I look forward to witnessing your future accomplishments."

As he prepared to leave, the Maestro delved into his sleeve, producing a simple leather pouch. The old elf extended it to Emery, a thoughtful expression gracing his face. "I suspect your destiny is entwined with poison mastery," he began, his words seasoned with wisdom. "I hope these will serve you well on your journey."

Emery accepted the pouch with curiosity, carefully opening it to reveal its contents. Inside were a dozen seeds, glittering in the dim light, their brilliance unmatched.

[Elysium Seed]

The name immediately sprung into Emery's mind. These seeds were of the sixth tier, capable of growing into a robust plant renowned for its potent anti-toxic properties. Despite being classified as tier 6, Emery was well aware of their value, equating them to ordinary tier 7 ingredients. Moreover, having them as seeds opened the possibility of cultivating a substantial quantity of these plants.

"Thank you, Maestro," Emery said, gratitude echoing in his voice, his heart filled with warmth. He carefully stowed away the precious seeds, recognizing the incredible gift he had received.

As the Maestro departed, Grand Master Hazard showed a heightened interest in Emery. The seasoned potion master seemed to have developed certain suspicions about Emery's identity, hinting at his thoughts through carefully phrased questions. However, Emery had no intention of disclosing his identity at this juncture.

This time, it was Grand Magus Aegnor who posed a question, halting Emery in his tracks. "Do you really have to leave so soon?" he queried.

### Someone pasted molecular data at this point
+++
No. 1
Below is a molecular structure, C27H16F5N5Pd in a non-equilibrium geometry, with properties calculated with ωB97M-V/def2-TZVPD.

XYZ file:
```
54
Properties=species:S:1:pos:R:3
Pd 0.4065 -1.3720 -0.2588
C 3.1066 1.4507 -0.0375
N 2.5716 2.4860 -0.8604
C 3.2959 2.7866 -2.0327
C 1.5254 3.2635 -0.3902
C -0.4432 1.6494 -0.9439
C -0.6282 2.2296 -2.0938
C -1.3613 1.6986 -3.2845
C -1.3134 0.4939 -3.8204
C -0.6557 -0.5713 -3.0622
C -0.5440 -0.5399 -1.6814
H 4.1791 1.5782 0.2451
H 3.0743 0.4336 -0.5654
H 2.5645 1.3760 0.9026
H 4.1000 3.5776 -1.8519
H 2.6357 3.1938 -2.6780
H 3.6938 1.8188 -2.2742
H 1.2056 3.9076 -1.2489
H 1.7326 4.0240 0.4542
H -0.3137 3.2686 -2.1932
H -1.9356 2.4498 -3.7816
H -1.9608 0.1773 -4.6575
H -0.2618 -1.5306 -3.5202
F 0.0836 0.0147 3.1537
C -1.1098 0.4253 2.7658
C -2.1719 -0.3089 3.2184
F -1.8320 -1.4065 3.9883
C -3.4803 -0.0352 2.9687
C -3.6193 1.1389 2.1433
C -2.5617 1.8378 1.6822
F -2.7238 2.9463 0.9365
C -1.2294 1.4945 1.8924
C -0.0217 2.2726 1.3483
C 0.2852 2.4975 0.0702
N -0.8304 0.3153 -0.6692
C 0.8563 2.8236 2.3400
N 1.4457 3.1724 3.2972
F -4.8042 1.5983 1.7876
C -4.5485 -0.7731 3.4488
C -5.8045 -0.1642 3.7043
N -6.8513 0.2166 4.0334
C -4.4853 -2.1866 3.6420
N -4.2676 -3.3301 3.7706
F 3.1547 -6.7381 -1.4048
C 2.5815 -5.5787 -1.1481
C 1.4464 -5.5248 -0.2930
C 0.9033 -4.2790 0.0495
C 1.3185 -3.1044 -0.5668
C 2.4506 -3.2187 -1.3814
C 3.0355 -4.4418 -1.7040
H 1.2891 -6.4306 0.2211
H -0.0388 -4.3191 0.6432
H 2.8961 -2.3507 -1.9181
H 3.9601 -4.4129 -2.3855
```

Values from the calculation:
Relative energy (zero: lowest compared OMol25 entry of this formula, charge and spin) = 3.299 eV
Largest force on an atom = 3.6 eV Å⁻¹
Total charge = -2
E = -52771.17522 eV

Atom charges from the Löwdin analysis, given in e for atoms 1 to 4: 0.7673 -0.0880 -0.2815 -0.0808

***

No. 2
Below is a gas-phase ion, C5H14N2 (charge +1) in a non-equilibrium geometry, with properties calculated with ωB97M-V/def2-TZVPD.

XYZ file:
```
21
Properties=species:S:1:pos:R:3
C -1.3947 -1.5997 -1.6022
N -0.0769 -0.8995 -1.3965
C 0.5527 2.4639 -0.2563
C -0.2111 1.1979 0.0808
C 0.3706 -0.1749 -0.1726
C 0.1963 -1.0713 1.0851
N 0.7377 -0.4597 2.2589
H -1.6976 -2.3338 -0.7400
H -2.1059 -0.8171 -1.4435
H -1.4895 -2.0216 -2.6030
H 0.7998 -1.4110 -1.8084
H 1.6464 2.5426 0.1523
H 0.5495 2.4478 -1.3301
H 0.0391 3.3637 0.1378
H -1.2866 1.2644 -0.2878
H -0.4449 1.1251 1.1282
H 1.3993 -0.2495 -0.1519
H 0.7829 -2.0000 1.0146
H -0.8301 -1.2837 1.1947
H 0.7541 0.5336 2.2883
H 1.7089 -0.6172 2.4518
```

Values from the calculation:
Relative energy (zero: lowest compared OMol25 entry of this formula, charge and spin) = 1.898 eV
Spin multiplicity = 2
Largest force on an atom = 3.3 eV Å⁻¹
Total charge = +1
⟨S²⟩ = 0.757
E = -8382.51205 eV

Atom charges from the Löwdin analysis, given in e for atoms 1 to 4: -0.0003 0.1206 -0.0766 -0.2219

***

No. 3
+++

Emery paused, his gaze meeting the elder's. A response was expected, yet instead of providing a straightforward answer, he chose a different path. "Elder Aegnor," he began, his voice imbued with warmth and respect. "I appreciate your concern and all the help you've extended during my stay here. Your guidance has been invaluable."

Just as he finished, a staff member from the Grove made his way through the crowd and approached Emery. His presence was an unspoken reminder of the rewards awaiting the young apothecary.

"Please follow me, Master Merlin," the staff member respectfully invited, gesturing towards the warehouse in the distance.

At this moment, Morgana seemed unusually reluctant to let Emery out of her sight. She moved to accompany him, yet the restrictive nature of the area prohibited her involvement. With a gentle smile and a promise to return shortly, Emery convinced Morgana and Twik to wait for him.

The warehouse was a sanctuary of exotic ingredients and resources, each more enticing than the last. Emery's eyes roved over the array of items, his mind working quickly to identify the ones that would best serve his needs. The minutes slipped into hours as he meticulously selected the Tier 6 and Tier 7 ingredients.

For a brief span, amidst the allure of these resources, the throbbing pain coursing through his body seemed to fade into insignificance.

With his selection complete, Emery found himself anticipating his reunion with his companions. He strolled along the pathway, the weight of the ingredients and his reward in tow. Yet, his anticipation was quickly overshadowed by surprise as a familiar figure came into view.

The figure belonged to a woman. She was beautiful, a radiant human being that tugged at the farthest corners of his memory. Her presence was as unexpected as it was puzzling. She wasn't just another face from the crowd but someone who had left an indelible mark on his past.

To be continued